GLASGOW kids don't know how lucky they are when it comes to school dinners. They might turn their noses up at the greens on offer - but their dinners are a lot better than the bleak horrors that were once served to their parents.

School meals are back in the headlines amid reports that, despite widespread efforts to introduce healthier menus to the city's primary schools, large numbers of pupils are resistant to the notion of eating vegetables.

New research by the Glasgow Centre for Population Research says: "Vegetables remain an unpopular food choice with children.

"The provision of vegetables by stealth' as part of meals needs to continue to promote uptake."

Many parents and grandparents would have given their left arm for stealth vegetables when they were at school.

To this day, people of a certain vintage shudder to recall such culinary delights as soggy chips, mashed yet hauntingly lumpy potatoes, and vegetables stewed to death before being resuscitated and stewed to death once more.

_What comes next are data records, not part of the article_
'''
Record 1
The following is a GGA-PBE calculation of a relaxed La2ZnH crystal, from Alexandria.

Computed properties:
The distance to the lowest polymorph of the same formula is 34 meV/atom. The total energy is -15.363 eV/cell. For the size of the total moment, the calculation gives 0.00 μB/atom. As for the space group: R3m, No. 160.

The structure in POSCAR format:
```
La2ZnH
1.0
3.8226 0.0000 0.0000
1.9113 3.3104 0.0000
1.9113 1.1035 7.5384
La H Zn
2 1 1
Cartesian
1.9113 1.1035 6.0444 La
1.9113 1.1035 1.4626 La
3.8226 2.2070 0.0246 H
3.8226 2.2070 3.7760 Zn
```



Record 2
The following is a GGA-PBE calculation of a relaxed LaZnH2 crystal, from Alexandria.

Computed properties:
The distance to the lowest polymorph of the same formula is 178 meV/atom. The total energy is -26.539 eV/cell. For the size of the total moment, the calculation gives 0.00 μB/atom. As for the space group: I-42d, No. 122.

The structure in POSCAR format:
```
LaZnH2
1.0
-3.0509 -3.3378 1.0191
1.2888 -2.3355 -3.7910
3.0045 -5.4864 1.5674
H La Zn
4 2 2
Cartesian
0.6003 -8.8773 -0.9225 H
0.9118 -3.5367 -1.7621 H
1.7039 -6.4440 -0.1913 H
-0.7311 -3.4615 0.4669 H
-0.4637 -5.8305 0.6003 La
0.0000 0.0000 0.0000 La
1.7061 -5.3293 -1.8048 Zn
-0.8810 -2.8367 -1.3859 Zn
```



Record 3
The following is a GGA-PBE calculation of a relaxed LaZnH4 crystal, from Alexandria.

Computed properties:
The total energy is -42.220 eV/cell. For the size of the total moment, the calculation gives 0.00 μB/atom. As for the space group: C2/c, No. 15.

The structure in POSCAR format:
```
LaZnH4
1.0
4.1283 0.1930 -1.0610
-1.3192 4.6857 -2.2474
-0.1935 0.4104 6.8848
H Zn La
8 2 2
Cartesian
1.9068 3.2200 4.3626 H
-0.3544 3.5936 0.7602 H
2.0169 4.4129 1.5563 H
-0.3175 4.4147 4.2267 H
0.7088 2.0690 -0.7862 H
2.9331 0.8744 -0.6503 H
2.9700 1.6955 2.8161 H
0.5987 0.8762 2.0200 H
-0.0299 1.8770 0.7332 Zn
2.6456 3.4121 2.8431 Zn
1.3803 4.3296 -0.8967 La
1.2354 0.9595 4.4731 La
```



Record 4
The following is a GGA-PBE calculation of a relaxed La2ZnH crystal, from Alexandria.

Computed properties:
The distance to the lowest polymorph of the same formula is 218 meV/atom. The total energy is -14.627 eV/cell. For the size of the total moment, the calculation gives 0.00 μB/atom. As for the space group: Fm-3m, No. 225.

The structure in POSCAR format:
```
La2ZnH
1.0
-5.0653 -0.5942 0.1520
-3.0352 3.3690 -2.3390
-2.5380 -1.3496 -4.2155
La Zn H
2 1 1
Cartesian
-7.9788 1.0689 -4.8019 La
-2.6596 0.3563 -1.6006 La
-5.3192 0.7126 -3.2013 Zn
0.0000 0.0000 0.0000 H
```



Record 5
The following is a GGA-PBE calculation of a relaxed LaZnH5 crystal, from Alexandria.

Computed properties:
The total energy is -23.728 eV/cell. For the size of the total moment, the calculation gives 0.00 μB/atom. As for the space group: Imm2, No. 44.

The structure in POSCAR format:
```
LaZnH5
1.0
-1.0154 3.1613 3.8179
-4.2985 -0.6212 2.7239
-0.6193 -1.8673 4.7342
H La Zn
5 1 1
Cartesian
-2.4823 1.0441 7.2555 H
-1.8540 -0.9121 4.8931 H
'''

Also on the menu was largely inedible stew, and dubious custards with thick skin on top.

Stodge seemed to be the order of the day, and, if memory serves, it was all washed down with a half-pint of unappealingly warm milk.

No disrespect to the hard-working dinner-ladies of that era, but you half-expected such dinners to be one reason why so many pupils wanted to leave school the first moment they could.

It's all a long way away from the Executive's recent suggestions for healthy packed lunches that parents can make at home for their children. Its ideas include pitta bread with cucumber, egg and couscous salad, and pasta salad with sweetcorn.

We asked you: what was the worst school meal you ever had? Semolina and macaroni cheese top your list of school meal horrors Lynne Hepburn, 19, student, Alexandria My school dinners were not that bad, although there were a couple of things that I didn't enjoy. Kenny Penper, 23, chef, Barrhead We used to get soggy chips but most meals were quite good. My favourite was macaroni and cheese. Gail McNicholas, 31, army, City Centre Our school dinners were horrible. Semolina was the worst school dinner that I had. Mark Cuthbert, 38, market researcher, City Centre The hot dogs at my school were used more as weapons than food. Laura Mullen, 19, student, Alexandria There were quite a few school dinners that I didn't like but the worst would have to be semolina. Steve Lucas, 28, army, City Centre At my school, ravioli was always the worst dinner that we got. Ashley Paterson, 21, student, Barrhead They started giving us healthy school dinners, but macaroni and cheese was the worst meal we had. Ronnie Houston, 50, sales, Wemyss Bay I remember having terrible school dinners like a bridie on a roll, and watery mince with doughballs. Rhona Munro, 19, student, Glasgow Macaroni and cheese was the worst school dinner at my school, but some of them were not that bad. William Carroll, 21, bar worker, City Centre The worst school dinner that I can remember was the macaroni and cheese that we used to be served.